Contact: Sandra Lee Snowden, 312-953-3108, Sandra@reclaimchristmasforchrist.com; www.reclaimchristmasforchrist.com
WASHINGTON, Sept. 16, 2013 /Standard Newswire/ -- On Constitution Day, Tuesday, September 17, 2013, author and long-time Christian advocate Sandra Lee Snowden (photo) will be praying in front of the Capitol steps in Washington, D.C. to inspire Christians across America to rally behind their faith. "I want Christians across America to take action now in order to support and secure a nativity in their own state capitol, city, and town," says Sandra.
Someone pasted calculated molecules at this point:
=====
The following is a quantum chemistry calculation of C42H44BrN8O7Sr as an isolated structure, from the OMol25 dataset.

The geometry in XYZ format:
```
103
Properties=species:S:1:pos:R:3:forces:R:3:mulliken_charge:R:1
Sr -0.166077 -2.235788 1.250281 -0.0687 0.7822 0.0028 1.743
O 3.191503 -4.617751 1.811340 0.1078 0.0123 -0.1372 -0.780
C 2.077605 -4.392701 1.337381 -0.1063 -0.1169 0.2149 -0.261
O 1.749233 -3.464024 0.536143 -0.1747 -0.0357 0.1430 -0.742
C 0.965069 -5.315172 1.929999 0.0878 -0.1024 -0.1048 0.206
C 0.645520 -4.840964 3.362465 -0.0084 -0.0431 -0.0875 -0.243
C 0.092286 -6.007175 4.186536 -0.0091 0.1220 0.1160 -1.046
C -1.334032 -6.145961 3.605240 -0.1277 0.1667 0.1208 -0.993
C -1.341204 -5.038521 2.546629 0.0439 -0.0845 -0.0919 0.215
O -0.528788 -4.003826 3.169839 0.0822 -0.2175 -0.0294 -0.562
C -0.485418 -5.484611 1.351487 -0.1463 -0.1122 -0.1769 -0.201
C -0.910951 -4.856523 -0.016016 0.2385 -0.0972 0.0627 -0.094
O -0.597044 -5.474873 -1.026934 -0.0606 0.0426 -0.0525 -0.791
O -1.601395 -3.775388 0.041942 0.0502 0.0057 0.0714 -0.578
H 1.439198 -6.293002 1.982875 0.0407 0.0155 -0.0130 0.744
H 1.437448 -4.262370 3.831229 0.0182 -0.0166 -0.0073 0.718
H 0.063811 -5.753510 5.246608 -0.0029 -0.0009 -0.0034 0.342
H 0.702562 -6.899984 4.064292 0.0047 -0.0053 -0.0034 0.382
H -2.091457 -5.957424 4.367259 0.0119 -0.0037 0.0042 0.335
H -1.529745 -7.121597 3.163879 -0.0024 -0.0067 -0.0114 0.388
H -2.309469 -4.624113 2.281058 0.0013 -0.0194 0.0021 0.472
H -0.631526 -6.552462 1.186421 -0.0217 0.0118 -0.0386 0.623
C 4.364277 4.905486 0.455164 -0.0108 0.0001 0.0153 -2.327
C 3.000782 4.669696 -0.195790 0.0408 0.0064 -0.0012 2.420
C 3.228021 4.382475 -1.688410 -0.0567 0.0146 0.0392 -1.463
C 2.174233 5.955261 -0.053761 -0.0031 -0.0122 -0.0046 -1.819
C 2.255802 3.494520 0.435948 0.1296 0.0178 0.0807 -0.920
C 1.001482 3.148715 -0.032639 -0.1273 -0.0651 -0.0379 0.344
C 0.342782 2.045556 0.479284 -0.0349 0.1386 -0.0005 -0.199
Br -1.396787 1.683499 -0.212599 -0.0005 0.0376 0.0029 -0.015
C 0.887299 1.169731 1.446706 0.1541 -0.0706 0.1317 0.450
O 0.328833 0.056285 1.773609 -0.0981 0.1013 -0.0742 -1.067
C 2.130681 1.610656 2.012455 -0.1310 -0.0511 -0.0207 -0.489
C 2.768390 2.723738 1.485645 -0.0024 0.0276 -0.1109 -0.330
C 2.713738 0.845489 3.205146 0.0538 0.0363 0.0546 2.630
C 3.035310 -0.614994 2.853181 0.2160 -0.1717 -0.1669 -1.302
C 4.025244 1.474644 3.696615 -0.0358 0.0084 -0.0204 -2.429
C 1.718901 0.899618 4.375492 0.0257 -0.0340 -0.0101 -1.904
H 4.864219 5.744121 -0.035159 -0.0004 -0.0022 -0.0060 0.435
H 5.008598 4.028794 0.363709 0.0033 0.0027 0.0003 0.387
H 4.266137 5.148506 1.515071 -0.0011 -0.0047 0.0021 0.437
H 3.751956 5.215405 -2.166525 0.0048 0.0059 -0.0104 0.501
H 2.282789 4.230331 -2.213577 0.0346 0.0130 0.0299 0.168
H 3.830097 3.479026 -1.814592 0.0051 -0.0065 -0.0011 0.290
H 2.696273 6.800611 -0.510955 0.0011 0.0014 -0.0043 0.468
H 2.001955 6.183859 0.999748 0.0002 -0.0010 -0.0022 0.401
H 1.201549 5.857713 -0.537790 0.0006 0.0070 -0.0002 0.277
=====
Sandra fought for three years in one of the largest federal court cases for a nativity display in her former hometown of Bay Harbor Islands, Florida. The federal court issued an opinion finding Bay Harbor Islands to be in violation of seven of Sanda's constitutional rights. Bay Harbor Islands paid $262,000 of taxpayer money in legal fees to combat Sandra's rights as a citizen, resulting in her court victory. Sandra signed a ten-year Consent Judgment with her then hometown, ensuring that her nativity would be displayed beside the town's menorah. "This is a big legal win for Baby Jesus," said Bill O'Reilly on Fox News, when Sandra was invited as guest on his show. Sandra was named one of the 50 Most Powerful Women in Miami-Dade County after forcing her mayor to step out of office, for referring to her request as "trivial."
== Here the piece breaks off for molecular data ==
This record from the OMol25 dataset describes a 9-piece molecular cluster, C27H76N4O9 overall in a non-equilibrium geometry. The level of theory is ωB97M-V/def2-TZVPD.

Atoms and positions in Å:
C: 4.225 0.842 3.575
C: 3.238 0.499 4.677
C: 3.074 1.753 5.577
O: 1.971 0.214 4.050
H: 4.620 -0.030 3.052
H: 5.116 1.252 4.050
H: 3.878 1.538 2.811
H: 3.560 -0.399 5.204
H: 3.971 1.916 6.173
H: 2.272 1.602 6.300
H: 2.886 2.599 4.917
H: 1.575 1.017 3.703
C: 1.334 -4.568 -6.903
C: 0.525 -5.700 -6.312
C: -1.009 -5.540 -6.317
O: 0.878 -6.817 -7.037
H: 1.088 -3.641 -6.385
H: 1.170 -4.416 -7.969
H: 2.394 -4.812 -6.831
H: 0.825 -5.973 -5.300
H: -1.559 -6.470 -6.459
H: -1.289 -4.975 -7.206
H: -1.237 -5.053 -5.368
H: 0.940 -7.540 -6.408
C: -4.899 -0.833 3.124
C: -4.858 -2.073 2.298
C: -5.603 -3.158 2.950
O: -5.422 -1.864 1.046
H: -4.848 -1.053 4.191
H: -5.738 -0.175 2.899
H: -3.920 -0.371 3.001
H: -3.810 -2.371 2.333
H: -5.154 -3.480 3.889
H: -5.599 -3.953 2.203
H: -6.652 -2.982 3.188
H: -4.908 -1.210 0.568
C: -4.292 6.266 -3.101
C: -2.818 6.511 -3.471
C: -2.471 6.032 -4.898
O: -3.437 6.596 -5.818
C: -3.429 5.991 -7.044
N: -2.584 7.957 -3.286
H: -4.830 6.520 -4.014
H: -4.597 6.881 -2.255
H: -4.402 5.222 -2.805
H: -2.187 6.105 -2.681
H: -2.674 4.962 -4.843
H: -1.450 6.288 -5.180
H: -4.132 6.401 -7.769
H: -3.706 4.951 -6.871
H: -2.435 6.110 -7.477
H: -2.803 8.495 -4.112
H: -1.579 8.048 -3.321
C: -0.674 6.500 2.816
C: -1.206 5.102 3.285
C: -2.767 4.974 2.953
O: -3.502 5.779 3.809
C: -4.912 5.592 3.703
N: -0.456 4.222 2.399
H: 0.415 6.532 2.838
H: -0.992 7.395 3.352
H: -0.958 6.614 1.770
H: -0.806 4.936 4.285
H: -3.021 3.933 3.150
H: -2.996 5.159 1.903
H: -5.358 4.598 3.738
H: -5.260 5.934 2.729
H: -5.353 6.226 4.472
H: -0.498 4.613 1.469
H: 0.475 4.466 2.706
C: 3.696 -7.388 3.152
C: 2.354 -7.375 3.849
C: 1.821 -8.857 4.053
O: 1.637 -9.478 2.860
C: 1.648 -10.921 2.873
N: 2.386 -6.428 4.914
H: 4.018 -6.368 2.939
H: 3.481 -7.829 2.179
H: 4.447 -7.976 3.679
H: 1.689 -6.950 3.096
H: 0.911 -8.858 4.651
H: 2.677 -9.298 4.563
H: 2.551 -11.312 3.343
H: 1.518 -11.331 1.872
H: 0.864 -11.306 3.526
H: 1.443 -6.547 5.257
H: 2.407 -5.492 4.536
C: -0.953 0.145 -3.235
C: -1.228 -0.251 -1.816
C: 0.124 -0.540 -1.066
O: 0.773 -1.749 -1.552
C: 1.704 -2.360 -0.633
N: -1.810 0.833 -1.066
H: -0.538 -0.717 -3.758
H: -0.245 0.963 -3.365
H: -1.846 0.465 -3.772
H: -1.843 -1.151 -1.793
H: -0.038 -0.792 -0.018
H: 0.890 0.232 -1.123
H: 1.922 -3.357 -1.015
H: 1.275 -2.327 0.369
H: 2.535 -1.654 -0.632
H: -1.294 1.700 -1.107
H: -1.574 0.595 -0.113
C: 8.428 -0.351 -0.855
O: 8.346 1.071 -0.751
H: 7.405 -0.729 -0.833
H: 8.719 -0.737 -1.831
H: 8.993 -0.704 0.008
H: 9.238 1.320 -1.003
C: 3.572 4.424 -1.706
O: 2.319 4.993 -1.802
H: 3.916 4.612 -0.688
H: 3.484 3.344 -1.818
H: 4.341 4.818 -2.371
H: 2.497 5.932 -1.714

Calculated values
SMILES: COC[C@H](C)N.COC[C@H](C)N.COC[C@H](C)N.COC[C@H](C)N.CC(C)O.CC(C)O.CC(C)O.CO.CO
Orbital gap in eV: 9.4
HOMO level in eV: -9.3
Sandra claimed her right as a US Citizen to arrange for an American flag to be flown on Constitution Day above the capitol building in dedication to Reclaim Christmas for Christ's cause. "I would like to empower all Citizens to continue to stand up and stand strong against our elected officials who try to limit or silence our Constitutional rights of freedom of speech, freedom or religion, and equal protection," said Sandra, who expressed her excitement regarding her trip to DC.
The demand for Sandra's work has grown since her initial court battle, and she has decided to respond to the Christian community by launching her new website: www.reclaimchristmasforchrist.com. Sandra's site will serve as a community resource where Christians will be able to network and share their own stories about their experiences regarding nativities in their hometowns / state capitals. "We hope to partner with organizations across the country to provide free nativities to members, and aspire to offer accessible opportunities regarding legal advice surrounding this issue," said Sandra. Many organizations are expected to join together to support Reclaim Christmas for Christ, as Christians begin to rally for this cause.
Sandra invites all citizens to join her, or email prayers and pictures of nativities from around the world to share during her trip, where she will pray for religious rights, granting nativities in all US hometowns.
== Quantum chemistry results, as found in the file ==
This record from the OMol25 dataset describes a molecular structure, C39H45Cl3CrN7O2PS. The level of theory is ωB97M-V/def2-TZVPD.

Values from the calculation:
- HOMO level (spin up / spin down) (hartree) = -0.4714 / -0.4714
- Kohn-Sham gap (spin up / spin down) (eV) = 8.553 / 8.320
- energy relative to the best compared isomer or geometry (same formula, charge and spin) (kJ/mol) = 0.0
- DFT total energy (Eh) = -5211.11832
- 2S+1 = 5
- molar mass (g/mol) = 865.2
- charge = +2

```
99
Properties=species:S:1:pos:R:3:forces:R:3:mulliken_charge:R:1
N -1.5622 -1.6154 2.8103 -0.090 -0.125 -0.030 -0.748
H 1.5849 -4.8681 -1.3564 -0.002 -0.002 -0.001 0.506
H 1.2693 -5.6171 2.8460 -0.003 -0.022 0.024 0.464
H -3.7327 3.7866 -4.0901 -0.009 0.042 -0.030 0.520
C -0.6834 -0.4844 -3.9149 0.163 0.147 0.107 -1.944
C -3.3091 3.0450 1.0410 0.145 -0.004 0.151 -0.553
H 3.2961 1.4020 0.2075 -0.019 0.005 0.017 0.140
H 0.1698 1.0281 4.0259 0.100 -0.034 -0.083 0.368
C -4.3023 2.7696 -2.2851 0.048 -0.016 -0.109 0.576
H -4.8426 -3.3407 -2.6855 -0.063 0.025 0.019 0.450
H 1.4626 3.4030 3.0698 -0.017 0.008 -0.007 0.324
Cl -0.9199 -3.9103 -5.6042 0.008 -0.003 -0.014 -0.165
H 2.2619 4.0612 1.6346 -0.016 0.025 0.034 0.466
H -3.8270 2.7356 1.9508 -0.022 -0.038 0.051 0.316
H -3.0114 2.1649 0.4763 0.083 0.156 0.158 -0.012
P 2.4139 -0.9849 1.5265 0.042 0.040 -0.110 2.196
H -1.5852 5.6135 2.3701 -0.030 0.020 0.009 0.411
H -4.5354 -1.7418 -4.6058 0.022 -0.009 -0.023 0.291
C 2.7862 -0.7989 3.2857 0.153 0.028 0.033 -0.122
H 1.4186 0.6957 6.0099 -0.036 0.024 0.025 0.493
H 6.8855 -1.9451 -0.3460 0.021 -0.013 -0.003 0.442
H -3.2921 5.1841 2.4638 -0.006 0.011 -0.002 0.423
C -3.5932 0.5064 -2.1057 0.063 0.044 0.053 -0.037
C 4.0901 0.6706 0.1055 -0.003 0.028 -0.032 -0.447
H -2.3741 -1.4223 -3.0235 0.089 -0.003 -0.069 0.353
O -0.8965 2.0012 1.6148 0.224 0.009 0.165 -0.359
H -3.7677 -2.4495 -6.0318 0.022 -0.023 0.027 0.363
H -0.3457 -2.2813 1.3821 -0.086 0.057 0.000 -0.056
C 5.2629 1.0206 -0.5454 0.010 -0.056 0.002 -0.816
H -0.4211 0.0759 -4.8099 -0.085 -0.029 0.025 0.346
C -3.0167 1.7683 -4.0323 0.035 0.067 -0.243 1.040
N -1.0811 -1.5769 1.4477 0.048 0.027 0.117 -0.041
H 1.1078 -6.4129 0.5150 -0.010 -0.037 -0.010 0.462
C -4.2734 1.5871 -1.5679 -0.067 -0.079 -0.224 -1.294
C 1.4594 -4.9378 2.0269 -0.002 0.038 -0.011 -0.888
S -1.9052 -5.3399 -3.1982 0.075 -0.107 0.093 -0.153
N -0.1883 0.2496 -2.7559 0.413 0.030 -0.220 0.485
H 3.5756 0.0029 6.9792 0.006 0.005 0.034 0.430
N 0.1848 4.0208 1.4887 0.009 -0.095 0.005 0.200
C 4.9335 -1.5616 0.4392 -0.001 -0.011 0.003 -0.496
C 1.9845 -3.1999 -0.0751 -0.004 -0.014 0.010 -0.353
C 0.3226 1.8816 -1.4051 0.029 0.066 0.123 -1.108
N -2.1391 3.8549 1.3604 0.084 0.043 -0.040 0.237
H 0.5381 2.8334 -0.9535 0.001 0.046 0.022 0.530
H 2.2194 -2.5351 -0.8988 0.020 0.031 -0.010 0.741
H -3.6964 -5.4089 -1.5503 -0.031 -0.047 0.055 0.473
N 0.3941 0.7034 -0.6933 0.036 0.125 0.068 1.125
C 6.1035 -1.2105 -0.2140 0.000 0.003 -0.014 -0.791
== Back to the page ==
You can E-mail Sandra at: Sandra@reclaimchristmasforchrist.com
Call Sandra at c: (312) 953-3108
"Like" our facebook page: Reclaim Christmas for Christ.
Sandra will be at the Capitol steps praying under her flag from Sunrise 6:52 AM - Sunset 7:15 PM EST. Look for posters stating "Reclaim Christmas For Christ."